Assignment:
Repeat everything underneath character by character.
Contents:
- - -
[1]
# CaTe
Calculated powder X-ray diffraction pattern, a wavelength of 1.5418 Å. Input: a cell relaxed with PBE.
Lines closer than 0.1° are merged.

Structure:
a b c (Å): 4.5231 4.5231 4.5231
angles (deg): 60.00 60.00 60.00
Positions (direct):
Ca 0.0000 0.0000 0.0000
Te 0.5000 0.5000 0.5000

Most intense lines, 15 to 90 degrees two-theta, in order of falling intensity:
| 2θ/deg | Rel. int. |
| --- | --- |
| 27.90 | 100 |
| 39.86 | 75 |
| 24.10 | 45 |
| 65.23 | 33 |
| 49.35 | 26 |
| 72.37 | 24 |
| 47.12 | 23 |
| 57.64 | 12 |
| 63.38 | 10 |
| 85.96 | 8 |

***

[2]
# ZnAgP2
Calculated powder X-ray diffraction pattern, a wavelength of 1.5418 Å. Input: a cell relaxed with PBE.
Lines closer than 0.1° are merged.

Structure:
a b c (Å): 4.2976 4.2976 6.7856
angles (deg): 92.31 92.31 37.11
Positions (direct):
Zn 0.0000 0.0000 0.0000
Ag 0.4293 0.4293 0.6627
P 0.6992 0.6992 0.4820
P 0.7328 0.7328 0.1649

Most intense lines, 15 to 90 degrees two-theta, in order of falling intensity:
| 2θ/deg | Rel. int. |
| --- | --- |
| 37.30 | 100 |
| 25.03 | 95 |
| 21.83 | 47 |
| 26.29 | 44 |
| 54.05 | 41 |
| 47.18 | 41 |
| 45.05 | 32 |
| 44.27 | 31 |
| 43.66 | 29 |
| 36.95 | 28 |

***

[3]
# Na4PmHg5
Calculated powder X-ray diffraction pattern, a wavelength of 1.5418 Å. Input: a cell relaxed with PBE.
Lines closer than 0.1° are merged.

Structure:
a b c (Å): 3.7494 3.7494 18.7167
angles (deg): 90.00 90.00 90.00
Positions (direct):
Na 0.0000 0.0000 0.0972
Na 0.0000 0.0000 0.2966
Na 0.0000 0.0000 0.7034
Na 0.0000 0.0000 0.9028
Pm 0.0000 0.0000 0.5000
Hg 0.5000 0.5000 0.0000
Hg 0.5000 0.5000 0.1943
Hg 0.5000 0.5000 0.3982
Hg 0.5000 0.5000 0.6018
Hg 0.5000 0.5000 0.8057

Most intense lines, 15 to 90 degrees two-theta, in order of falling intensity:
| 2θ/deg | Rel. int. |
| --- | --- |
| 33.83 | 100 |
| 23.74 | 44 |
| 60.52 | 37 |
| 54.77 | 19 |
| 48.59 | 18 |
| 41.75 | 14 |
| 71.16 | 11 |
| 81.12 | 11 |
| 76.21 | 9 |
| 81.26 | 5 |

***

[4]
# CeMn10Cu
Calculated powder X-ray diffraction pattern, a wavelength of 1.5418 Å. Input: a cell relaxed with PBE.
Lines closer than 0.1° are merged.

Structure:
a b c (Å): 8.2191 8.2191 4.7595
angles (deg): 90.00 90.00 90.19
Positions (direct):
Ce 0.0000 0.5000 0.0000
Ce 0.5000 0.0000 0.0000
Mn 0.0000 0.0000 0.5049
Mn 0.0616 0.7212 0.4969
Mn 0.1129 0.8871 0.0067
Mn 0.1779 0.1779 0.2340
Mn 0.1776 0.1776 0.7748
Mn 0.2180 0.4292 0.5013
Mn 0.2788 0.9384 0.4969
Mn 0.3218 0.6782 0.2714
Mn 0.3835 0.3835 0.0068
Mn 0.4292 0.2180 0.5013
Mn 0.5000 0.5000 0.5130
Mn 0.5708 0.7820 0.5013
Mn 0.6165 0.6165 0.0068
Mn 0.6782 0.3218 0.2714
Mn 0.7212 0.0616 0.4969
Mn 0.7820 0.5708 0.5013
Mn 0.8221 0.8221 0.2340
Mn 0.8224 0.8224 0.7748
Mn 0.8871 0.1129 0.0067
Mn 0.9384 0.2788 0.4969
Cu 0.3190 0.6810 0.7841
Cu 0.6810 0.3190 0.7841

Most intense lines, 15 to 90 degrees two-theta, in order of falling intensity:
| 2θ/deg | Rel. int. |
| --- | --- |
| 45.42 | 100 |
| 43.97 | 65 |
| 39.47 | 58 |
| 39.54 | 55 |
| 36.21 | 44 |
| 34.51 | 30 |
| 45.54 | 27 |
| 44.10 | 23 |
| 24.17 | 20 |
| 70.57 | 20 |

***

[5]
# TaCu5
Calculated powder X-ray diffraction pattern, a wavelength of 1.5418 Å. Input: a cell relaxed with PBE.
Lines closer than 0.1° are merged.

Structure:
a b c (Å): 2.7457 2.7457 10.3216
angles (deg): 90.00 90.00 90.00
Positions (direct):
Ta 0.0000 0.0000 0.0000
Cu 0.0000 0.0000 0.3450
Cu 0.0000 0.0000 0.6550
Cu 0.5000 0.5000 0.1895
Cu 0.5000 0.5000 0.5000
Cu 0.5000 0.5000 0.8105

Most intense lines, 15 to 90 degrees two-theta, in order of falling intensity:
| 2θ/deg | Rel. int. |
| --- | --- |
| 42.10 | 100 |
| 46.79 | 39 |
| 83.61 | 25 |
| 73.56 | 15 |
| 37.09 | 14 |
| 68.32 | 12 |
| 53.25 | 10 |
| 33.78 | 10 |
| 17.18 | 8 |
| 25.90 | 5 |

***

[6]
# La3Ag2Pd3
Calculated powder X-ray diffraction pattern, a wavelength of 1.5418 Å. Input: a cell relaxed with PBE.
Lines closer than 0.1° are merged.

Structure:
a b c (Å): 8.8918 8.8918 5.8779
angles (deg): 90.00 90.00 120.00
Positions (direct):
La 0.0000 0.3048 0.2500
- - -
Written answer:
[1]
# CaTe
Calculated powder X-ray diffraction pattern, a wavelength of 1.5418 Å. Input: a cell relaxed with PBE.
Lines closer than 0.1° are merged.

Structure:
a b c (Å): 4.5231 4.5231 4.5231
angles (deg): 60.00 60.00 60.00
Positions (direct):
Ca 0.0000 0.0000 0.0000
Te 0.5000 0.5000 0.5000

Most intense lines, 15 to 90 degrees two-theta, in order of falling intensity:
| 2θ/deg | Rel. int. |
| --- | --- |
| 27.90 | 100 |
| 39.86 | 75 |
| 24.10 | 45 |
| 65.23 | 33 |
| 49.35 | 26 |
| 72.37 | 24 |
| 47.12 | 23 |
| 57.64 | 12 |
| 63.38 | 10 |
| 85.96 | 8 |

***

[2]
# ZnAgP2
Calculated powder X-ray diffraction pattern, a wavelength of 1.5418 Å. Input: a cell relaxed with PBE.
Lines closer than 0.1° are merged.

Structure:
a b c (Å): 4.2976 4.2976 6.7856
angles (deg): 92.31 92.31 37.11
Positions (direct):
Zn 0.0000 0.0000 0.0000
Ag 0.4293 0.4293 0.6627
P 0.6992 0.6992 0.4820
P 0.7328 0.7328 0.1649

Most intense lines, 15 to 90 degrees two-theta, in order of falling intensity:
| 2θ/deg | Rel. int. |
| --- | --- |
| 37.30 | 100 |
| 25.03 | 95 |
| 21.83 | 47 |
| 26.29 | 44 |
| 54.05 | 41 |
| 47.18 | 41 |
| 45.05 | 32 |
| 44.27 | 31 |
| 43.66 | 29 |
| 36.95 | 28 |

***

[3]
# Na4PmHg5
Calculated powder X-ray diffraction pattern, a wavelength of 1.5418 Å. Input: a cell relaxed with PBE.
Lines closer than 0.1° are merged.

Structure:
a b c (Å): 3.7494 3.7494 18.7167
angles (deg): 90.00 90.00 90.00
Positions (direct):
Na 0.0000 0.0000 0.0972
Na 0.0000 0.0000 0.2966
Na 0.0000 0.0000 0.7034
Na 0.0000 0.0000 0.9028
Pm 0.0000 0.0000 0.5000
Hg 0.5000 0.5000 0.0000
Hg 0.5000 0.5000 0.1943
Hg 0.5000 0.5000 0.3982
Hg 0.5000 0.5000 0.6018
Hg 0.5000 0.5000 0.8057

Most intense lines, 15 to 90 degrees two-theta, in order of falling intensity:
| 2θ/deg | Rel. int. |
| --- | --- |
| 33.83 | 100 |
| 23.74 | 44 |
| 60.52 | 37 |
| 54.77 | 19 |
| 48.59 | 18 |
| 41.75 | 14 |
| 71.16 | 11 |
| 81.12 | 11 |
| 76.21 | 9 |
| 81.26 | 5 |

***

[4]
# CeMn10Cu
Calculated powder X-ray diffraction pattern, a wavelength of 1.5418 Å. Input: a cell relaxed with PBE.
Lines closer than 0.1° are merged.

Structure:
a b c (Å): 8.2191 8.2191 4.7595
angles (deg): 90.00 90.00 90.19
Positions (direct):
Ce 0.0000 0.5000 0.0000
Ce 0.5000 0.0000 0.0000
Mn 0.0000 0.0000 0.5049
Mn 0.0616 0.7212 0.4969
Mn 0.1129 0.8871 0.0067
Mn 0.1779 0.1779 0.2340
Mn 0.1776 0.1776 0.7748
Mn 0.2180 0.4292 0.5013
Mn 0.2788 0.9384 0.4969
Mn 0.3218 0.6782 0.2714
Mn 0.3835 0.3835 0.0068
Mn 0.4292 0.2180 0.5013
Mn 0.5000 0.5000 0.5130
Mn 0.5708 0.7820 0.5013
Mn 0.6165 0.6165 0.0068
Mn 0.6782 0.3218 0.2714
Mn 0.7212 0.0616 0.4969
Mn 0.7820 0.5708 0.5013
Mn 0.8221 0.8221 0.2340
Mn 0.8224 0.8224 0.7748
Mn 0.8871 0.1129 0.0067
Mn 0.9384 0.2788 0.4969
Cu 0.3190 0.6810 0.7841
Cu 0.6810 0.3190 0.7841

Most intense lines, 15 to 90 degrees two-theta, in order of falling intensity:
| 2θ/deg | Rel. int. |
| --- | --- |
| 45.42 | 100 |
| 43.97 | 65 |
| 39.47 | 58 |
| 39.54 | 55 |
| 36.21 | 44 |
| 34.51 | 30 |
| 45.54 | 27 |
| 44.10 | 23 |
| 24.17 | 20 |
| 70.57 | 20 |

***

[5]
# TaCu5
Calculated powder X-ray diffraction pattern, a wavelength of 1.5418 Å. Input: a cell relaxed with PBE.
Lines closer than 0.1° are merged.

Structure:
a b c (Å): 2.7457 2.7457 10.3216
angles (deg): 90.00 90.00 90.00
Positions (direct):
Ta 0.0000 0.0000 0.0000
Cu 0.0000 0.0000 0.3450
Cu 0.0000 0.0000 0.6550
Cu 0.5000 0.5000 0.1895
Cu 0.5000 0.5000 0.5000
Cu 0.5000 0.5000 0.8105

Most intense lines, 15 to 90 degrees two-theta, in order of falling intensity:
| 2θ/deg | Rel. int. |
| --- | --- |
| 42.10 | 100 |
| 46.79 | 39 |
| 83.61 | 25 |
| 73.56 | 15 |
| 37.09 | 14 |
| 68.32 | 12 |
| 53.25 | 10 |
| 33.78 | 10 |
| 17.18 | 8 |
| 25.90 | 5 |

***

[6]
# La3Ag2Pd3
Calculated powder X-ray diffraction pattern, a wavelength of 1.5418 Å. Input: a cell relaxed with PBE.
Lines closer than 0.1° are merged.

Structure:
a b c (Å): 8.8918 8.8918 5.8779
angles (deg): 90.00 90.00 120.00
Positions (direct):
La 0.0000 0.3048 0.2500